The Earliest Traced American Electoral Map Apportioning Results by District. One Known Example.
Hand-colored lithographed folding map showing the congressional districts and party representation for the 45th United States Congress. This map, coloring districts red for Democrats and blue for Republicans, represents the earliest electoral map of the U.S. that shows the results of a recent election of the House of Representatives and the most informative electoral map published to date.
Susan Schulten, of the University of Denver, has called a later 1880 map the earliest traced map to show the returns of a U.S. presidential election, although this term is ambiguous. Thorough research of earlier maps in the Library of Congress collection and other databases reveal that the results of presidential elections had been charted on a statewide level in rudimentary maps since at least 1848. We have previously had a map published a year before the one presented, in 1877, that shows the results of the first nineteen elections. However, the visual information on all of these earlier maps is substantially less than that seen in the map presented here.
This 1878 map reports on a district-by-district level the results of an election in which the winners were still in office, and is thus substantially more detailed and was substantially more important in shaping the national consciousness when it was published. This dissemination of information represents a new way of the public following elections, in which a national audience paid close attention to the country-wide geopolitical scene. This map was published just before the 1878 midterms, a time at which this information regarding the most recent national election would have been particularly important.
This map is a critical cartographic landmark in mapping the political history of the United States.
• Inserted here: crystal structures:
/*
# SrVRhO5 | Alexandria via LeMat-Bulk | GGA+U | optimized geometry
data_SrVRhO5
_symmetry_space_group_name_H-M 'C 1 2/c 1'
_symmetry_Int_Tables_number 15
_symmetry_space_group_name_Hall '-C 2yc'
_cell_length_a 6.932
_cell_length_b 9.412
_cell_length_c 7.322
_cell_angle_alpha 90.00
_cell_angle_beta 113.72
_cell_angle_gamma 90.00
loop_
_atom_site_label
_atom_site_type_symbol
_atom_site_fract_x
_atom_site_fract_y
_atom_site_fract_z
Sr1 Sr 0.000 0.168 0.250
V1 V 0.000 0.185 0.750
Rh1 Rh 0.000 0.500 0.000
O1 O 0.000 0.424 0.250
O2 O 0.103 0.294 0.613
O3 O 0.188 0.070 0.918
# Calculated volume = 109.3 Å³/f.u.
# Calculated total energy = -223.7 eV for the cell shown
*/
• The entry goes on:
The Map
The map is a fantastic century-and-a-half predecessor to the political maps we see on CNN on FiveThirtyEight. While the South is red and the Northeast is blue, the colors are inverted from the parties they are associated with today. The map shows all the congressional districts of states and leaves uncolored territories that have not yet achieved statehood. Due to the smaller sizes of districts in the eastern part of the country, and the more intricate detail required to show them, the map is split in two with the eastern states roughly double the size of their western counterparts.
For the biggest cities, the map includes eight insets showing New York, Baltimore, Philadelphia, Boston, St. Louis, Cincinnati, New Orleans, and San Francisco. With the exception of St. Louis and Chicago, these cities are for the most part Democrat-controlled. The map includes a number of tables listing the representatives of each state, the party affiliation of governors, the number of votes according to party per state, and President Rutherford Hayes's cabinet.
This map was published in Chicago by Charles L. Driesslein, a Chicago-based German-born stenographer who appears to have entered the publishing business. We have been unable to trace the existence of W. E. Vigus, and this is the only recorded work that this author appears to have executed.
Texas "Territories"
Interestingly, in Texas, the map names "Territory of Young" and "Territory of Bexar". These were place-holder organizing structures used before the land was subdivided into counties. The use of "Territory of Bexar" is anachronistic for 1878, as all of that land had been divided into counties four years earlier. In fact, much of what is shown as "Territory of Bexar" was never in the Bexar Land District, having immediately been divided into Presidio and El Paso Counties, when county division reached that far west for the first time in 1850.
The 1876 Election
The 1876 elections for the 45th Congress saw a split legislative-executive divide, with the Republican Rutherford Hayes winning the federal election, Republicans winning the Senate, and Democrats winning the House. While the presidential election was marred by Hayes losing the popular vote and several results being highly contested, the election of the house appeared to have run smoothly.
Unrelated to this text: records of crystals
-- begin --
DFT (meta-GGA SCAN) results for YPb2Se2 at its PBEsol-relaxed geometry.

Structure (POSCAR):
```
YPb2Se2
1.0
-2.034 2.034 8.303
2.034 -2.034 8.303
2.034 2.034 -8.303
Y Pb Se
1 2 2
direct
0.000 0.000 0.000
0.250 0.750 0.500
0.750 0.250 0.500
0.411 0.411 0.000
0.589 0.589 0.000
```

- Formation energy without anion corrections: -0.5778 eV per atom
- DOS at the Fermi energy: 1.76 states/eV per cell
-- stop --
Back to the text
The election produced a Congress very opposed to Reconstruction, and the House passed an army expropriations bill that would have effectively ended the program, vetoed by Hayes. Despite Hayes's opposition, the failure of Congress passing any funds to enforce civil rights laws made any attempts by Hayes to preserve racial freedoms in the South futile. The Great Railroad Strike and a debate of the end of the silver currency were other major issues of his term.
The 1878 midterm would see an increase in Democratic legislative power, but the Republicans would keep the presidency in 1880 after Hayes stepped down, as promised, after a single term.
[What comes next are calculated crystals, not part of the page]
# 1
Hg2MoOs: relaxed, GGA-PBE.

a = 2.9538 Å, b = 4.9103 Å, c = 9.9202 Å
α = 90.00°, β = 90.00°, γ = 90.00°
Closest atoms and distances in Å follow each position.
Space group Cmmm (No. 65)
Symmetry-distinct sites (fractional):
1 Hg 0.0000 0.0000 0.2470 (multiplicity 4)  2 Os 2.86, 6 Hg 2.87-2.95, 2 Mo 2.91
2 Mo 0.0000 0.5000 0.5000 (multiplicity 2)  6 Mo 2.87-2.95, 4 Hg 2.91
3 Os 0.0000 0.5000 0.0000 (multiplicity 2)  4 Hg 2.86, 6 Os 2.87-2.95

* energy of formation from the pure elements: 899 meV per atom
* density of states at the Fermi level: 9.5 states/eV per cell

# 2
Hg2MoOs: relaxed, GGA-PBE.

a = 2.8962 Å, b = 4.9805 Å, c = 10.0283 Å
α = 90.00°, β = 90.00°, γ = 90.00°
Closest atoms and distances in Å follow each position.
Space group Immm (No. 71)
Symmetry-distinct sites (fractional):
1 Hg 0.0000 0.0000 0.2449 (multiplicity 4)  2 Os 2.85, 6 Hg 2.88-2.90, 2 Mo 2.94
2 Mo 0.0000 0.5000 0.0000 (multiplicity 2)  4 Os 2.88, 2 Mo 2.90, 4 Hg 2.94
3 Os 0.0000 0.5000 0.5000 (multiplicity 2)  4 Hg 2.85, 4 Mo 2.88, 2 Os 2.90

* energy of formation from the pure elements: 848 meV per atom
* density of states at the Fermi level: 7.8 states/eV per cell

* * * * *

(1)
## TbEr5Th4 (PBE)

Data for an optimized crystal structure of TbEr5Th4.

```
TbEr5Th4
1.0
6.692 0.000 0.000
0.000 11.676 0.000
0.000 0.000 8.535
Tb Er Th
2 10 8
Direct
0.250 0.250 0.042
0.750 0.750 0.958
0.009 0.033 0.315
0.009 0.467 0.315
0.250 0.750 0.707
0.491 0.033 0.315
0.491 0.467 0.315
0.509 0.533 0.685
0.509 0.967 0.685
0.750 0.250 0.293
0.991 0.533 0.685
0.991 0.967 0.685
0.002 0.750 0.360
0.250 0.604 0.032
0.250 0.896 0.032
0.498 0.750 0.360
0.502 0.250 0.640
0.750 0.104 0.968
0.750 0.396 0.968
0.998 0.250 0.640
```

Properties
VASP energy ... -5.32 eV/atom
Energy of formation from the pure elements ... 0.395 eV/atom
Theoretical density ... 9577 kg/m³

***

(2)
## MnCu2Te (PBE)

Data for an optimized crystal structure of MnCu2Te.

```
MnCu2Te
1.0
0.000 3.156 3.156
3.156 0.000 3.156
3.156 3.156 0.000
Mn Cu Te
1 2 1
Direct
0.000 0.000 0.000
0.500 0.500 0.500
0.750 0.750 0.750
0.250 0.250 0.250
```

Properties
VASP energy ... -4.79 eV/atom
E_form (uncorrected) ... 0.339 eV/atom
Theoretical density ... 8174 kg/m³

***

(3)
## Ac3Ge4Rh7 (PBE)

Data for an optimized crystal structure of Ac3Ge4Rh7.

```
Ac3Ge4Rh7
1.0
8.062 -2.113 0.000
8.062 2.113 0.000
-5.854 0.000 7.942
Ac Ge Rh
3 4 7
Direct
0.000 0.000 0.000
0.331 0.331 0.337
0.669 0.669 0.663
0.117 0.117 0.842
0.336 0.336 0.711
0.664 0.664 0.289
0.883 0.883 0.158
0.000 0.000 0.500
0.161 0.161 0.422
0.306 0.306 0.953
0.497 0.497 0.728
0.503 0.503 0.272
0.694 0.694 0.047
0.839 0.839 0.578
```

Properties
VASP energy ... -6.59 eV/atom
Energy of formation from the pure elements ... -0.714 eV/atom
Theoretical density ... 10382 kg/m³

***

(4)
## NdTl2Sn (PBE)

Data for an optimized crystal structure of NdTl2Sn.

```
NdTl2Sn
1.0
1.792 1.035 11.541
-1.792 1.035 11.541
0.000 -2.069 11.541
Nd Tl Sn
1 2 1
Direct
0.000 0.000 0.000
We were able to trace only one example of this map, at the Wisconsin Historical Society. We are unable to trace any other examples of this map having traded on the market. All political maps from this era are very rare.